____________
No. 1
This entry pairs a crystal structure of Pm12Sm5Th2 with its theoretical X-ray diffraction stick pattern. Radiation: a wavelength of 1.5418 Å. Structure: the GGA-PBE geometry in Alexandria.

Cell and atoms:
abc: 6.7224 8.9042 11.8745
angles: 110.50 93.54 96.67
Fractional positions:
Pm: 0.0202 0.2509 0.3801
Pm: 0.0560 0.8539 0.2329
Pm: 0.2281 0.8992 0.9550
Pm: 0.2833 0.3245 0.1371
Pm: 0.3371 0.6300 0.4121
Pm: 0.4732 0.2981 0.8655
Pm: 0.5268 0.7019 0.1345
Pm: 0.6629 0.3700 0.5879
Pm: 0.7167 0.6755 0.8629
Pm: 0.7719 0.1008 0.0450
Pm: 0.9440 0.1461 0.7671
Pm: 0.9798 0.7491 0.6199
Sm: 0.0000 0.5000 0.0000
Sm: 0.1972 0.4872 0.7076
Sm: 0.4865 0.1277 0.2947
Sm: 0.5135 0.8723 0.7053
Sm: 0.8028 0.5128 0.2924
Th: 0.2629 0.0558 0.5419
Th: 0.7371 0.9442 0.4581

Principal peaks in the range 10 to 90 degrees two-theta, in order of rising 2θ:
| 2theta | I (rel.) |
| --- | --- |
| 30.17 | 21 |
| 30.65 | 30 |
| 30.88 | 90 |
| 31.03 | 89 |
| 31.14 | 98 |
| 31.45 | 47 |
| 31.81 | 100 |
| 32.03 | 22 |
| 32.88 | 22 |
| 55.08 | 26 |

No. 2
This entry pairs a crystal structure of Pm5Sm12Th2 with its theoretical X-ray diffraction stick pattern. Radiation: a wavelength of 1.5418 Å. Structure: the GGA-PBE geometry in Alexandria.

Cell and atoms:
abc: 9.2396 9.2396 8.8222
angles: 92.63 92.63 61.19
Fractional positions:
Pm: 0.0000 0.0000 0.0000
Pm: 0.2333 0.2333 0.0658
Pm: 0.2910 0.2910 0.4612
Pm: 0.7090 0.7090 0.5388
Pm: 0.7667 0.7667 0.9342
Sm: 0.0328 0.6751 0.2586
Sm: 0.0697 0.0697 0.3782
Sm: 0.1716 0.5641 0.8143
Sm: 0.3249 0.9672 0.7414
Sm: 0.4359 0.8284 0.1857
Sm: 0.4432 0.4432 0.1603
Sm: 0.5568 0.5568 0.8397
Sm: 0.5641 0.1716 0.8143
Sm: 0.6751 0.0328 0.2586
Sm: 0.8284 0.4359 0.1857
Sm: 0.9303 0.9303 0.6218
Sm: 0.9672 0.3249 0.7414
Th: 0.3332 0.6668 0.5000
Th: 0.6668 0.3332 0.5000

Principal peaks in the range 10 to 90 degrees two-theta, in order of rising 2θ:
| 2theta | I (rel.) |
| --- | --- |
| 27.75 | 20 |
| 29.45 | 31 |
| 29.57 | 35 |
| 30.72 | 15 |
| 30.90 | 100 |
| 31.12 | 58 |
| 32.14 | 51 |
| 35.05 | 32 |
| 57.63 | 20 |
| 58.39 | 19 |

No. 3
This entry pairs a crystal structure of Pm5Sm6Th with its theoretical X-ray diffraction stick pattern. Radiation: a wavelength of 1.5418 Å. Structure: the GGA-PBE geometry in Alexandria.

Cell and atoms:
abc: 5.1373 9.6116 9.6201
angles: 64.64 74.62 74.52
Fractional positions:
Pm: 0.0000 0.0000 0.0000
Pm: 0.3336 0.1665 0.1665
Pm: 0.3357 0.6644 0.6643
Pm: 0.6643 0.3356 0.3357
Pm: 0.6664 0.8335 0.8335
Sm: 0.1646 0.0876 0.5831
Sm: 0.1647 0.5831 0.0876
Sm: 0.5000 0.2551 0.7448
Sm: 0.5000 0.7449 0.2552
Sm: 0.8353 0.4169 0.9124
Sm: 0.8354 0.9124 0.4169
Th: 0.0000 0.5000 0.5000

Principal peaks in the range 10 to 90 degrees two-theta, in order of rising 2θ:
| 2theta | I (rel.) |
| --- | --- |
| 30.11 | 100 |
| 34.91 | 51 |
| 50.19 | 30 |
| 50.25 | 6 |
| 59.63 | 25 |
| 59.70 | 18 |
| 62.64 | 9 |
| 81.70 | 12 |
| 84.19 | 8 |
| 84.31 | 8 |

No. 4
This entry pairs a crystal structure of PmSmTm2Th with its theoretical X-ray diffraction stick pattern. Radiation: a wavelength of 1.5418 Å. Structure: the GGA-PBE geometry in Alexandria.

Cell and atoms:
abc: 3.5401 5.6206 8.6666
angles: 90.00 90.05 90.00
Fractional positions:
Pm: 0.0000 0.0000 0.0000
Sm: 0.5000 0.0000 0.5000
Tm: 0.0009 0.5000 0.3203
Tm: 0.9991 0.5000 0.6797
Th: 0.5000 0.5000 0.0000

Principal peaks in the range 10 to 90 degrees two-theta, in order of rising 2θ:
| 2theta | I (rel.) |
| --- | --- |
| 15.77 | 20 |
| 25.96 | 16 |
| 30.95 | 18 |
| 31.60 | 100 |
| 31.84 | 41 |
| 32.66 | 20 |
| 34.92 | 27 |
| 36.46 | 29 |
| 56.59 | 19 |
| 61.84 | 21 |

No. 5
This entry pairs a crystal structure of PmSm2TmTh with its theoretical X-ray diffraction stick pattern. Radiation: a wavelength of 1.5418 Å. Structure: the GGA-PBE geometry in Alexandria.

Cell and atoms:
abc: 8.6081 6.4012 6.3603
angles: 90.00 97.15 90.00
Fractional positions:
Pm: 0.0000 0.0000 0.0000
Pm: 0.0000 0.0000 0.5000
____________

Give back the rows earlier on with every line break kept, please.

No. 1
This entry pairs a crystal structure of Pm12Sm5Th2 with its theoretical X-ray diffraction stick pattern. Radiation: a wavelength of 1.5418 Å. Structure: the GGA-PBE geometry in Alexandria.

Cell and atoms:
abc: 6.7224 8.9042 11.8745
angles: 110.50 93.54 96.67
Fractional positions:
Pm: 0.0202 0.2509 0.3801
Pm: 0.0560 0.8539 0.2329
Pm: 0.2281 0.8992 0.9550
Pm: 0.2833 0.3245 0.1371
Pm: 0.3371 0.6300 0.4121
Pm: 0.4732 0.2981 0.8655
Pm: 0.5268 0.7019 0.1345
Pm: 0.6629 0.3700 0.5879
Pm: 0.7167 0.6755 0.8629
Pm: 0.7719 0.1008 0.0450
Pm: 0.9440 0.1461 0.7671
Pm: 0.9798 0.7491 0.6199
Sm: 0.0000 0.5000 0.0000
Sm: 0.1972 0.4872 0.7076
Sm: 0.4865 0.1277 0.2947
Sm: 0.5135 0.8723 0.7053
Sm: 0.8028 0.5128 0.2924
Th: 0.2629 0.0558 0.5419
Th: 0.7371 0.9442 0.4581

Principal peaks in the range 10 to 90 degrees two-theta, in order of rising 2θ:
| 2theta | I (rel.) |
| --- | --- |
| 30.17 | 21 |
| 30.65 | 30 |
| 30.88 | 90 |
| 31.03 | 89 |
| 31.14 | 98 |
| 31.45 | 47 |
| 31.81 | 100 |
| 32.03 | 22 |
| 32.88 | 22 |
| 55.08 | 26 |

No. 2
This entry pairs a crystal structure of Pm5Sm12Th2 with its theoretical X-ray diffraction stick pattern. Radiation: a wavelength of 1.5418 Å. Structure: the GGA-PBE geometry in Alexandria.

Cell and atoms:
abc: 9.2396 9.2396 8.8222
angles: 92.63 92.63 61.19
Fractional positions:
Pm: 0.0000 0.0000 0.0000
Pm: 0.2333 0.2333 0.0658
Pm: 0.2910 0.2910 0.4612
Pm: 0.7090 0.7090 0.5388
Pm: 0.7667 0.7667 0.9342
Sm: 0.0328 0.6751 0.2586
Sm: 0.0697 0.0697 0.3782
Sm: 0.1716 0.5641 0.8143
Sm: 0.3249 0.9672 0.7414
Sm: 0.4359 0.8284 0.1857
Sm: 0.4432 0.4432 0.1603
Sm: 0.5568 0.5568 0.8397
Sm: 0.5641 0.1716 0.8143
Sm: 0.6751 0.0328 0.2586
Sm: 0.8284 0.4359 0.1857
Sm: 0.9303 0.9303 0.6218
Sm: 0.9672 0.3249 0.7414
Th: 0.3332 0.6668 0.5000
Th: 0.6668 0.3332 0.5000

Principal peaks in the range 10 to 90 degrees two-theta, in order of rising 2θ:
| 2theta | I (rel.) |
| --- | --- |
| 27.75 | 20 |
| 29.45 | 31 |
| 29.57 | 35 |
| 30.72 | 15 |
| 30.90 | 100 |
| 31.12 | 58 |
| 32.14 | 51 |
| 35.05 | 32 |
| 57.63 | 20 |
| 58.39 | 19 |

No. 3
This entry pairs a crystal structure of Pm5Sm6Th with its theoretical X-ray diffraction stick pattern. Radiation: a wavelength of 1.5418 Å. Structure: the GGA-PBE geometry in Alexandria.

Cell and atoms:
abc: 5.1373 9.6116 9.6201
angles: 64.64 74.62 74.52
Fractional positions:
Pm: 0.0000 0.0000 0.0000
Pm: 0.3336 0.1665 0.1665
Pm: 0.3357 0.6644 0.6643
Pm: 0.6643 0.3356 0.3357
Pm: 0.6664 0.8335 0.8335
Sm: 0.1646 0.0876 0.5831
Sm: 0.1647 0.5831 0.0876
Sm: 0.5000 0.2551 0.7448
Sm: 0.5000 0.7449 0.2552
Sm: 0.8353 0.4169 0.9124
Sm: 0.8354 0.9124 0.4169
Th: 0.0000 0.5000 0.5000

Principal peaks in the range 10 to 90 degrees two-theta, in order of rising 2θ:
| 2theta | I (rel.) |
| --- | --- |
| 30.11 | 100 |
| 34.91 | 51 |
| 50.19 | 30 |
| 50.25 | 6 |
| 59.63 | 25 |
| 59.70 | 18 |
| 62.64 | 9 |
| 81.70 | 12 |
| 84.19 | 8 |
| 84.31 | 8 |

No. 4
This entry pairs a crystal structure of PmSmTm2Th with its theoretical X-ray diffraction stick pattern. Radiation: a wavelength of 1.5418 Å. Structure: the GGA-PBE geometry in Alexandria.

Cell and atoms:
abc: 3.5401 5.6206 8.6666
angles: 90.00 90.05 90.00
Fractional positions:
Pm: 0.0000 0.0000 0.0000
Sm: 0.5000 0.0000 0.5000
Tm: 0.0009 0.5000 0.3203
Tm: 0.9991 0.5000 0.6797
Th: 0.5000 0.5000 0.0000

Principal peaks in the range 10 to 90 degrees two-theta, in order of rising 2θ:
| 2theta | I (rel.) |
| --- | --- |
| 15.77 | 20 |
| 25.96 | 16 |
| 30.95 | 18 |
| 31.60 | 100 |
| 31.84 | 41 |
| 32.66 | 20 |
| 34.92 | 27 |
| 36.46 | 29 |
| 56.59 | 19 |
| 61.84 | 21 |

No. 5
This entry pairs a crystal structure of PmSm2TmTh with its theoretical X-ray diffraction stick pattern. Radiation: a wavelength of 1.5418 Å. Structure: the GGA-PBE geometry in Alexandria.

Cell and atoms:
abc: 8.6081 6.4012 6.3603
angles: 90.00 97.15 90.00
Fractional positions:
Pm: 0.0000 0.0000 0.0000
Pm: 0.0000 0.0000 0.5000